Legal Victory For Chiropractic Scope of Practice in NJ

Feb 20, 2024 | Insurance News, PAC & Legislative Updates

Insurance carriers have routinely attempted to limit the chiropractic scope of practice through denial of claims clearly within the chiropractic scope of practice. A recent example occurred in a No-Fault arbitration filed on behalf of a chiropractor by longtime ANJC supporter Sean Hagen, Esq.

In this matter, the chiropractic physician submitted to the No-Fault carrier a claim for payment of Terocin, a topical cream consisting of Capsaicin, Wintergreen Oil, and Menthol. The carrier denied alleging that it is outside of the scope of practice for a chiropractor to recommend the patient use this topical cream for pain.

A PIP arbitration was filed to compel payment and the arbitrator agreed with the carrier, denying the claim as outside the chiropractic scope of practice. Mr. Hagen thereafter appealed and filed an Order to Show Cause in the Superior Court to vacate the arbitration award. The ANJC, as well as the State Board of Chiropractic Examiners, filed “friend of the court” briefs in support of the filing and provided detailed information to the Court showing that a “Non-Legend Drug” ointment such as Terocin was clearly within the scope of practice. The Court recently agreed and issued an order on February 12, 2024, vacating the arbitration award on the basis that the arbitrator committed an error of law in finding that the scope did not include recommending or administering such Non-Legend Drug ointments.

(These calculated crystals were left in the entry by mistake)
+++
Record 1
Here is Na2ScPCO7 at its PBEsol-relaxed geometry from Alexandria via LeMat-Bulk. Energies are from meta-GGA SCAN.

Formation energy without anion corrections (eV per atom): -2.555
Total moment (μB per cell): 0.1

Geometry as extended XYZ:
```
24
Lattice="5.267 0.000 0.000 0.000 6.676 0.000 -0.060 0.000 9.040" Properties=species:S:1:pos:R:3 pbc="T T T"
Na 1.249 0.013 2.537
Na 1.249 3.325 2.537
Na 3.958 3.351 6.503
Na 3.958 6.662 6.503
Sc 1.057 1.669 7.794
Sc 4.150 5.007 1.246
P 1.459 5.007 8.373
P 3.748 1.669 0.667
C 1.383 1.669 5.247
C 3.824 5.007 3.792
O 0.195 1.669 5.796
O 0.914 5.007 0.770
O 0.993 3.744 7.628
O 0.993 6.269 7.628
O 1.587 1.669 4.010
O 2.192 1.669 0.542
O 2.367 1.669 6.131
O 2.840 5.007 2.908
O 3.015 5.007 8.497
O 3.620 5.007 5.030
O 4.214 0.407 1.412
O 4.214 2.931 1.412
O 4.293 1.669 8.270
O 5.012 5.007 3.244
```

---

Record 2
Here is Na3SnPCO7 at its PBEsol-relaxed geometry from Alexandria via LeMat-Bulk. Energies are from meta-GGA SCAN.

Formation energy without anion corrections (eV per atom): -2.026
Total moment (μB per cell): 0.0

Geometry as extended XYZ:
```
26
Lattice="5.382 0.000 0.000 0.000 6.966 0.000 -0.742 0.000 9.358" Properties=species:S:1:pos:R:3 pbc="T T T"
Na 0.869 1.741 3.860
Na 0.818 3.487 7.066
Na 0.818 6.962 7.066
Na 3.822 0.004 2.292
Na 3.822 3.479 2.292
Na 3.771 5.224 5.498
Sn 1.128 5.224 1.223
Sn 3.513 1.741 8.135
P 1.280 1.741 0.992
P 3.360 5.224 8.366
C 1.039 5.224 4.120
C 3.602 1.741 5.238
O 0.062 5.224 3.233
O 0.626 0.510 1.689
O 0.626 2.973 1.689
O 0.224 1.741 8.807
O 0.738 5.224 5.367
O 1.849 5.224 8.150
O 2.269 5.224 3.711
O 2.371 1.741 5.647
O 2.792 1.741 1.208
O 3.903 1.741 3.991
O 4.417 5.224 0.551
O 4.014 3.993 7.670
O 4.014 6.456 7.670
O 4.579 1.741 6.125
```

---

Record 3
Here is Na6Sn2PC4O16 at its PBEsol-relaxed geometry from Alexandria via LeMat-Bulk. Energies are from meta-GGA SCAN.

Formation energy without anion corrections (eV per atom): -1.771
Total moment (μB per cell): 2.1

Geometry as extended XYZ:
```
58
Lattice="0.000 7.163 7.163 7.163 0.000 7.163 7.163 7.163 0.000" Properties=species:S:1:pos:R:3 pbc="T T T"
Na 5.372 5.372 1.056
Na 5.372 1.056 5.372
Na 9.688 5.372 5.372
Na 8.954 8.954 4.637
Na 8.954 4.637 8.954
Na 13.270 8.954 8.954
Na 1.056 5.372 5.372
Na 5.372 9.688 5.372
Na 5.372 5.372 9.688
Na 4.637 8.954 8.954
Na 8.954 13.270 8.954
Na 8.954 8.954 13.270
Sn 7.163 3.581 3.581
Sn 3.581 7.163 3.581
Sn 3.581 3.581 7.163
Sn 7.163 7.163 7.163
P 1.791 1.791 1.791
P 12.535 12.535 12.535
C 3.958 3.958 3.958
C 6.786 6.786 3.958
C 6.786 3.958 6.786
C 10.368 7.539 7.539
C 3.958 6.786 6.786
C 7.539 10.368 7.539
C 7.539 7.539 10.368
C 10.368 10.368 10.368
O 0.892 0.892 0.892
O 2.690 2.690 0.892
O 2.690 0.892 2.690
O 6.821 5.851 3.057
O 4.893 3.057 3.923
O 7.687 3.923 5.851
O 3.923 4.893 3.057
O 7.687 6.821 4.893
O 5.851 3.057 6.821
O 0.892 2.690 2.690
O 10.402 8.475 6.639
O 9.432 6.639 7.505
O 11.268 7.505 8.475
O 5.851 7.687 3.923
O 3.057 3.923 4.893
O 6.821 4.893 7.687
+++

The Court agreed with the ANJC and Board of Chiropractic Examiners and held that topical creams that can be ordered over the counter, such as Terocin, can be recommended or administered by a chiropractor in New Jersey within their scope of practice. The Court pointed out that the arbitrator misconstrued the chiropractic scope statute, which was substantively amended in January 2010, to carve out the prior prohibition of prescribing or recommending any drug or supplement to a patient. 

Prior to January of 2010, when the New Jersey Chiropractic Scope of Practice was substantively revised and expanded for the first time in fifty years, a chiropractor could not recommend or advise any patient to utilize any nutritional supplement, botanical, or other over-the-counter substance within their scope of practice. However, the chiropractic scope of practice was substantively amended and expanded in January of 2010 and signed into law by New Jersey Governor Jon Corzine as one of his last official acts in office.   The amendment expressly included nutrition and non-prescription supplement and botanical counseling and advice as within the scope of chiropractic practice, wherein before, it was not. Prior to 2010, the scope statute provided: “A licensee shall not offer nutritional advice as treatment for a specific disease, defect or deformity. A licensee shall not, incidental to chiropractic care, sell dispense or derive any financial benefit from the sale of vitamins food products or nutritional supplements. A licensee shall not represent himself or herself as a nutritional consultant.”See, N.J.S.A  45:9-14.5 (1955).

The amendments to the statute in 2010, provided the following new scope of practice: A licensee may: Provide dietary or nutritional counseling, such as the direction, administration, dispensing and sale of nutritional supplements, including, but not limited to, all food concentrates, food extracts, vitamins, minerals, herbs, enzymes, amino acids, homeopathic remedies and other dietary supplements, including, but not limited to, tissue or cell salts, glandular extracts, nutraceuticals, botanicals and other nutritional supplements; provided the chiropractor has successfully completed a course of study concerning human nutrition, consisting of not less than 45 hours from a college or university accredited by a regional or national accrediting agency recognized by the United States Department of Education and approved by the board.”  See, N.J.S.A  45:9-14.5 (2010)(emphasis added).

The arbitrator failed to appreciate that the 1995 prohibition on prescribing drugs or medicine carried over in the 2010 amendments but that the 2010 amendments critically provided a carve out of this prohibition to include the very botanicals, herbs, and supplements at issue here. Thus, while chiropractors still could not prescribe “legend” drugs or pharmaceuticals, after 2010 they were expressly permitted to recommend non-legend drugs that fit the categories above in the amended language. Herein lies the mistake of law by the arbitrator – he relied on the 1955 drug and medicine exclusion while failing to appreciate and apply the post-2010 express statutory permission for recommending non-legend drugs that fall within the statutory categories permitted by the amendments to the law.

Unrelated to this entry: calculated crystals:
1.
First-principles (PBE-GGA) data for crystalline NaCeSi at its relaxed geometry, as listed in Alexandria via LeMat-Bulk.

Lattice parameters (Å, degrees): 4.6643 4.6643 26.7053 90.00 90.00 120.00
With the nearest neighbours (Å) after each atom.
Space group R-3m (No. 166, hexagonal axes)
Unique sites:
Na1 0.0000 0.0000 0.1321  3 Si 3.02, 3 Na 3.27
Ce1 0.0000 0.0000 0.2943  4 Si 2.91-3.19
Si1 0.0000 0.0000 0.4138  4 Ce 2.91-3.19, 3 Na 3.02

Values from the calculation:
E_form (uncorrected)   -0.025 eV/atom
Uncorrected energy   -4.250 eV per atom

=====

2.
First-principles (PBE-GGA) data for crystalline NaCeSm2 at its relaxed geometry, as listed in Alexandria via LeMat-Bulk.

Lattice parameters (Å, degrees): 4.1981 4.1981 30.5493 90.00 90.00 120.00
With the nearest neighbours (Å) after each atom.
Space group R-3m (No. 166, hexagonal axes)
Unique sites:
Na1 0.0000 0.0000 0.0000  2 Sm 3.54
Ce1 0.0000 0.0000 0.5000  6 Sm 2.88
Sm1 0.0000 0.0000 0.1158  3 Ce 2.88

Values from the calculation:
Energy of formation from the pure elements   0.79 eV per atom
Energy relative to the lowest polymorph listed for this composition   661 meV per atom
Uncorrected energy   -3.379 eV per atom

=====

3.
First-principles (PBE-GGA) data for crystalline NaCe2Sm at its relaxed geometry, as listed in Alexandria via LeMat-Bulk.

Lattice parameters (Å, degrees): 3.3861 3.3861 38.7218 90.00 90.00 120.00
With the nearest neighbours (Å) after each atom.
Space group R-3m (No. 166, hexagonal axes)
Unique sites:
Na1 0.0000 0.0000 0.0000  6 Na 3.39, 2 Ce 3.50
Ce1 0.0000 0.0000 0.0905  6 Ce 3.39, 1 Na 3.50, 3 Sm 3.54
Sm1 0.0000 0.0000 0.5000  6 Sm 3.39, 6 Ce 3.54

Values from the calculation:
Energy of formation from the pure elements   0.25 eV per atom
Uncorrected energy   -4.225 eV per atom

=====

4.
First-principles (PBE-GGA) data for crystalline NaCeSm at its relaxed geometry, as listed in Alexandria via LeMat-Bulk.

Lattice parameters (Å, degrees): 6.5628 3.7453 16.7390 90.00 97.86 90.00
With the nearest neighbours (Å) after each atom.
Space group C2/m (No. 12)
Unique sites:
Na1 0.1931 0.0000 0.0932  9 Na 3.74-3.80, 3 Sm 3.76-3.78
Ce1 0.1825 0.5000 0.5486  3 Ce 2.71
Sm1 0.0857 0.5000 0.2793  3 Ce 3.58-3.59, 6 Sm 3.75-3.78, 3 Na 3.76-3.78

Values from the calculation:
Energy of formation from the pure elements   0.16 eV per atom
Uncorrected energy   -3.832 eV per atom

=====

5.
First-principles (PBE-GGA) data for crystalline NaCeSm2 at its relaxed geometry, as listed in Alexandria via LeMat-Bulk.

Lattice parameters (Å, degrees): 3.5226 3.5226 10.6133 90.00 90.00 90.00
With the nearest neighbours (Å) after each atom.
Space group P4/mmm (No. 123)
Unique sites:
Na1 0.0000 0.0000 0.0000  4 Na 3.52, 8 Sm 3.84
Ce1 0.0000 0.0000 0.5000  8 Sm 3.45, 4 Ce 3.52
Sm1 0.5000 0.5000 0.2757  4 Ce 3.45, 4 Sm 3.52, 4 Na 3.84

Values from the calculation:
Energy of formation from the pure elements   0.13 eV per atom

The Court agreed with this analysis and vacated the arbitration decision denying the claim. The matter will be remanded back for another arbitration to be determined based upon the guidance provided by the Court. 

This is a great victory for chiropractic as it prevents the constant chipping away and constriction of the chiropractic scope of practice by insurance companies. If any member would like a copy of the decision for use in their own claims, please contact ANJC headquarters at

Jeffrey Randolph, Esq.
ANJC General Legal Counsel